## What to do
Please filter the listing below: keep the lines with the word "Zr".
## Excerpt
+++
No. 1
Structure and simulated powder XRD pattern of ZrSc2Si4Ag4 (DFT lattice parameters and positions (GGA-PBE); Cu Kα, 1.54184 Å).
No peak broadening, texture or thermal motion is included.

Principal peaks in the range 2θ from 15° to 90°, low angle first:
29.17°, I = 23
29.33°, I = 81
34.72°, I = 100
35.48°, I = 23
36.72°, I = 52
39.59°, I = 51
39.73°, I = 51
44.10°, I = 47
44.39°, I = 46
48.09°, I = 42
60.82°, I = 28
64.36°, I = 28

Cell lengths 7.8921, 7.8921, 7.8921 Å; angles 149.84, 128.52, 60.83 degrees
Fractional positions:
Zr 0.0000 0.0000 0.0000
Sc 0.3797 0.8797 0.5000
Sc 0.6203 0.1203 0.5000
Si 0.2148 0.2148 0.0000
Si 0.3218 0.5000 0.8218
Si 0.6782 0.5000 0.1782
Si 0.7852 0.7852 0.0000
Ag 0.0319 0.3302 0.7017
Ag 0.3714 0.6698 0.7017
Ag 0.6286 0.3302 0.2983
Ag 0.9681 0.6698 0.2983



No. 2
Structure and simulated powder XRD pattern of Sc2AgSn (DFT lattice parameters and positions (GGA-PBE); Cu Kα, 1.54184 Å).
No peak broadening, texture or thermal motion is included.

Principal peaks in the range 2θ from 15° to 90°, low angle first:
22.00°, I = 23
36.30°, I = 100
42.85°, I = 13
52.28°, I = 17
57.38°, I = 6
65.31°, I = 34
69.83°, I = 4
77.08°, I = 11
81.33°, I = 5
88.31°, I = 15

Cell lengths 4.9492, 4.9492, 4.9492 Å; angles 60.00, 60.00, 60.00 degrees
Fractional positions:
Sc 0.0000 0.0000 0.0000
Sc 0.2500 0.2500 0.2500
Ag 0.7500 0.7500 0.7500
Sn 0.5000 0.5000 0.5000



No. 3
Structure and simulated powder XRD pattern of TmScAg2Sn2 (DFT lattice parameters and positions (GGA-PBE); Cu Kα, 1.54184 Å).
No peak broadening, texture or thermal motion is included.

Principal peaks in the range 2θ from 15° to 90°, low angle first:
25.39°, I = 37
33.57°, I = 100
38.69°, I = 95
44.26°, I = 30
46.61°, I = 8
52.14°, I = 28
60.22°, I = 12
66.05°, I = 13
66.78°, I = 27
70.02°, I = 29
73.90°, I = 13
82.98°, I = 19

Cell lengths 4.6544, 4.6544, 7.1260 Å; angles 90.00, 90.00, 120.00 degrees
Fractional positions:
Tm 0.0000 0.0000 0.0000
Sc 0.0000 0.0000 0.5006
Ag 0.3333 0.6667 0.6847
Ag 0.6667 0.3333 0.1908
Sn 0.3333 0.6667 0.2848
Sn 0.6667 0.3333 0.7739



No. 4
Structure and simulated powder XRD pattern of YScAg2Sn2 (DFT lattice parameters and positions (GGA-PBE); Cu Kα, 1.54184 Å).
No peak broadening, texture or thermal motion is included.

Principal peaks in the range 2θ from 15° to 90°, low angle first:
23.25°, I = 42
26.91°, I = 8
38.42°, I = 100
45.39°, I = 21
47.53°, I = 3
55.47°, I = 17
60.94°, I = 9
62.70°, I = 4
69.49°, I = 34
74.39°, I = 6
82.31°, I = 11
86.99°, I = 7

Cell lengths 9.3725, 4.6846, 14.0540 Å; angles 90.00, 109.43, 90.00 degrees
Fractional positions:
Y 0.0000 0.0000 0.0000
Y 0.1237 0.5000 0.7468
Y 0.2496 0.0000 0.4974
Y 0.5023 0.0000 0.0001
Sc 0.3762 0.5000 0.2499
Sc 0.6265 0.5000 0.7483
Sc 0.7498 0.0000 0.4980
Sc 0.8760 0.5000 0.2501
Ag 0.0659 0.5000 0.1310
Ag 0.1875 0.0000 0.8738
Ag 0.3213 0.5000 0.6254
Ag 0.4421 0.0000 0.3711
Ag 0.5674 0.5000 0.1309
Ag 0.6862 0.0000 0.8684
Ag 0.8052 0.5000 0.6198
Ag 0.9312 0.0000 0.3712
Sn 0.1266 0.0000 0.2511
Sn 0.2526 0.5000 0.0032
Sn 0.3789 0.0000 0.7485
Sn 0.5026 0.5000 0.4956
Sn 0.6267 0.0000 0.2508
Sn 0.7510 0.5000 0.9991
Sn 0.8696 0.0000 0.7443
Sn 0.9950 0.5000 0.4964



No. 5
Structure and simulated powder XRD pattern of Sc6AgTe2 (DFT lattice parameters and positions (GGA-PBE); Cu Kα, 1.54184 Å).
No peak broadening, texture or thermal motion is included.

Principal peaks in the range 2θ from 15° to 90°, low angle first:
24.07°, I = 41
24.47°, I = 34
33.00°, I = 100
34.14°, I = 35
34.55°, I = 43
35.18°, I = 28
35.29°, I = 34
36.15°, I = 66
36.68°, I = 48
39.07°, I = 51
41.92°, I = 29
47.01°, I = 45

Cell lengths 20.3950, 3.8659, 10.7386 Å; angles 90.00, 90.00, 90.00 degrees
Fractional positions:
Sc 0.0100 0.2500 0.1089
Sc 0.0292 0.7500 0.3775
Sc 0.1073 0.2500 0.8288
Sc 0.1384 0.7500 0.0675
Sc 0.1615 0.2500 0.5372
Sc 0.2303 0.7500 0.7491
Sc 0.2697 0.2500 0.2491
Sc 0.3385 0.7500 0.0372
Sc 0.3616 0.2500 0.5675
Sc 0.3927 0.7500 0.3288
Sc 0.4708 0.2500 0.8775
+++
## Reply
Zr 0.0000 0.0000 0.0000